Monday, July 13, 2009


This tutorial is brought to you by the Academy School District 20 IT-ES Team as a professional development program. It is being funded by a NCLB Mini-Grant, “20 in the 21st: Web 2.0 in the Classroom.” This module is designed for you to do on your own or you may choose to meet together as a team within your school to work on the various tasks. You can obtain a Management/Users Guide by clicking on the ABOUT section. On the following pages, you will encounter the tools of the new Internet: Web 2.0 tools that are bringing our kids in touch with the entire world through social networking, video, audio, and gaming sites. The ITE-ES Team encourages you to take time to explore and enjoy all the tools of this new Internet. Read on! For this tutorial, there are 20 Things for you to complete. Each Thing will show you one more web tool. There are many places for you to explore, experiment with, and think about creative ways to use 2.0 tools in your classroom.

Between two parts of the piece: records of molecules
<<<
# 1
The following is a DFT calculation (wB97M-V/def2-TZVPD) of C3H2Cl2O in the gas phase at a distorted geometry.

Last column: Löwdin charge in e.
Geometry (Å):
C 0.9351 0.7701 -0.4322  -0.691
H -0.1344 -0.8021 1.7605  0.084
Cl -1.0449 -0.3452 -1.6830  0.737
C -0.5658 -0.9480 0.7672  0.005
Cl 0.2425 2.5807 -0.2571  0.464
C -0.1530 -0.2129 -0.2504  -0.794
H -1.3789 -1.6909 0.6830  0.085
O 2.0994 0.6483 -0.5879  0.110

Summary:
SMILES = C=C(Cl)C(=O)Cl
lowest unoccupied orbital energy = 0.0 eV
ΔE to the lowest compared entry with this formula, charge and spin = 16.0 kcal per mole
orbital gap = 10.4214 eV
2S+1 = 1
E_tot = -1111.10109 Eh
HOMO energy = -10.46 eV

# 2
The following is a DFT calculation (wB97M-V/def2-TZVPD) of 2 unconnected molecules or ions with the total composition C3H2Cl2O2 at a distorted geometry.

Last column: Löwdin charge in e.
Geometry (Å):
H 2.7839 -0.0226 0.6396  0.089
C 1.0065 0.7986 -0.2653  -0.278
Cl -2.6975 0.1099 -1.1052  0.701
C 2.0230 -0.0032 -0.1792  0.016
O 0.0328 1.4190 -0.3915  0.110
C -1.8600 -0.5165 0.2329  -1.365
H 2.0198 -0.8594 -0.7552  0.038
Cl -2.2386 0.4554 1.5950  0.678
O -1.0699 -1.3812 0.2290  0.011

Summary:
SMILES = O=C(Cl)Cl.C=C=O
lowest unoccupied orbital energy = 0.5 eV
ΔE to the lowest compared entry with this formula, charge and spin = 33.3 kcal per mole
orbital gap = 9.9778 eV
2S+1 = 1
E_tot = -1186.33784 Eh
HOMO energy = -9.48 eV

# 3
The following is a DFT calculation (wB97M-V/def2-TZVPD) of a molecular structure, C3H2Cl2OS2 at a distorted geometry.

Last column: Löwdin charge in e.
Geometry (Å):
O -1.7399 -1.1437 -0.0493  -0.057
H 1.3254 -0.3666 -1.9067  0.070
Cl -1.1614 -2.6077 1.9945  0.642
S 0.8260 -1.2614 0.2062  0.845
H -0.5628 -0.1155 -1.2719  0.075
S 1.0649 1.7332 -0.6714  0.781
C 0.5872 0.0532 -1.0951  -0.760
C -0.8558 -1.4944 0.6672  -1.189
Cl 0.3786 3.3456 1.4250  0.547
C 0.1379 1.8574 0.7015  -0.956

Summary:
lowest unoccupied orbital energy = -0.6 eV
ΔE to the lowest compared entry with this formula, charge and spin = 50.4 kcal per mole
orbital gap = 8.5328 eV
2S+1 = 1
E_tot = -1907.41485 Eh
HOMO energy = -9.14 eV

# 4
The following is a DFT calculation (wB97M-V/def2-TZVPD) of 2 unconnected molecules or ions with the total composition C3H2Cl3N at a distorted geometry.

Last column: Löwdin charge in e.
Geometry (Å):
C 0.4430 1.6304 0.0440  0.065
Cl -0.5017 -1.9024 1.0680  0.578
Cl -2.3465 -0.5541 -0.6585  0.572
Cl 0.2486 -2.0570 -1.6152  0.565
H 0.9266 2.0410 -0.7822  0.046
N 1.5268 -0.2350 1.2930  0.105
C -1.0355 -1.6473 -0.5494  -1.606
H -0.3112 2.1597 0.5745  0.065
C 1.0498 0.5648 0.6259  -0.390

Summary:
lowest unoccupied orbital energy (alpha / beta) = -0.5 / -1.5 eV
ΔE to the lowest compared entry with this formula, charge and spin = 81.9 kcal per mole
orbital gap (alpha / beta) = 8.9472 / 6.7919 eV
2S+1 = 1
E_tot = -1550.68842 Eh
HOMO energy (alpha / beta) = -9.49 / -8.28 eV

# 5
>>>

Credit: If you wish, you can register for 2 CDE credits. See FAQ #5 on the About page.

Tutorial Format: Each week begins with a brief explanation of a new web 2.0 topic, followed by Discovery Exercises. These exercises give you the background you need to understand the tools you're learning about. Don't skip them! After the Discovery Exercises, you'll find a Thing -- activity -- to complete.

After each Thing you will write about the experience on the blog you will create. In other words, you will comment or "post" to your online log (Blog.) Think of this blog as a journal to reflect on your learning. You will learn how to set up a blog in our first face-to-face meeting. This is a tool to communicate your thoughts, new found skills, ideas, questions, and favorite websites. You'll receive feedback and encouragement from other participants. In turn, you will provide feedback and encouragement to others. It's your space! The links on the Overview page will take you to each week's specific lesson.

## Inserted here: data records
-- begin --
Below is the molecule C3H4N2O, with properties calculated with wB97M-V/def2-TZVPD.

## Properties
Maximum force = 0.61 eV Å⁻¹
Net charge = 0
E_HOMO (spin up / spin down) = -8.703 / -8.704 eV
E_tot = -301.316728 a.u.
Energy above the lowest of the compared OMol25 structures with the same formula, charge and spin = 4.6396 eV
SMILES = NC=C=CN=O
Lowest unoccupied orbital energy (spin up / spin down) = -0.44 / -0.44 eV

The geometry in XYZ format:
```
10
C3H4N2O (wB97M-V/def2-TZVPD)
N 1.891 0.527 -0.479
C 0.593 0.172 -0.836
C -0.525 0.401 -0.187
C -1.645 0.258 0.481
N -1.937 -0.973 1.214
O -0.981 -1.688 1.387
H 2.572 -0.167 -0.758
H 2.001 0.767 0.498
H 0.498 -0.266 -1.828
H -2.467 0.967 0.507
```
-- stop --

Monday, May 4, 2009

Previous Participant Blogs

2009-2010 Participant Blogs
20/20 Learnings
A Work In Progress
Aonghus' World
AVHS Science
DCC Kindie Teacher
Deep Thoughts by Mrs. Driver
DVE Library
DVE Technology
Fifth Grade
First Class Blog
Gibbons' Gab
Lucas Learners
Max Art
McCormick's Blog
Mr. Blatnick
Mrs. Frost's TAG Blog
Mrs. Gile's Math Blog
Mrs. L
Mrs. V
Musing Miller
My Blog Space
Nita's Notes
P's Page
Payne's Passage
Realist Party
Sander's Scoop
Sideways Stories from a 5th Grade Class
SMSP Science Stuff
T-Wolf Talk
The Teacher Learned Today…
Third Grade DVE
Voget's Adventures
Warner's Wonderings
Web 2.0
Web 2.0 Immigrant

2008-2009 Participant Blogs
2nd Grade 3B’s blog
AIE Tech Art Blog
chardtimes Comb’s Crew
Corrigan Fifth Grade Dabs and Scabs
ephemeral creativity femommy2
Fifth Grade Fourth Grade
Fresh Roasted
Gahren Gulch
Gem Finder
Hermansen Headlines
Huffman News
Information Literacy Using 2.0 Tools
Journey S2’s Blog
jpan’s Blog
Knowledge Boost!
Kristin Thinks
Live from Room 16
Mathis’ Minutes
Mr. McIntosh Says
Mr. Olivero’s Blog
Mrs. Smithey’s Blog
Mrs. W’s Whacky Tunes
Mrs. White’s Blog!
My Web 2.0 Adventure
Nature’s Baby
Progressive regression
Ramblings of 7th Grade
Runner Girl
Running Woman
Salsera Sourcestress
Science and Social Studies
Second Grade Ramblings
shageeglen2’s Blog
Singing Librarian
Spalding’s Spirit of 76 Blog
Steelers Girl
supercaffeinated’s Blog
TAG Talk
Tales of the 4th grade Ramble
Tam’s Chat
The Science of Life
Web 2.0
Web 2.0 Class
Web 2.0: Students constructing knowledge, creating the future…
Web20 Mitchell’s Blog
World Language Web 2.0